# Source
# GGA-PBE Rb2TlCd2, relaxed
# Energy above the most stable polymorph in this dataset   99 meV per atom
# DFT formation energy   0.04 eV per atom
# Spin magnetization   0.00 Bohr magnetons per cell
data_Rb2TlCd2
_cell_length_a 4.232
_cell_length_b 4.232
_cell_length_c 23.393
_cell_angle_alpha 90.00
_cell_angle_beta 90.00
_cell_angle_gamma 90.00
_space_group_name_H-M_alt 'I 4/m m m'
_space_group_IT_number 139
_space_group_name_Hall '-I 4 2'
loop_
_atom_site_label
_atom_site_fract_x
_atom_site_fract_y
_atom_site_fract_z
_atom_site_occupancy
Rb1 0.000 0.000 0.108 1
Tl1 0.000 0.000 0.500 1
Cd1 0.000 0.500 0.250 1

* * * * *

LiZnOs2 after structural relaxation. Source: the Alexandria database, functional GGA-PBEsol.

Calculated values
Raw total energy (eV per atom): -6.775
Formation energy (kJ/mol of formula units): 85

Unit cell a=8.9331 b=2.6815 c=4.5826 alpha=90.00 beta=100.31 gamma=90.00
Space group C2/m (No. 12)
Unique sites:
Li  0.0000  0.0000  0.0000 [2 per cell]
Zn  0.0000  0.5000  0.5000 [2 per cell]
Os  0.2413  0.0000  0.7542 [4 per cell]

Li2ZnOs after structural relaxation. Source: the Alexandria database, functional GGA-PBEsol.

Calculated values
Raw total energy (eV per atom): -4.317
Formation energy (kJ/mol of formula units): 45

Unit cell a=2.6813 b=2.6813 c=27.6725 alpha=90.00 beta=90.00 gamma=120.00
Space group R3m (No. 160, hexagonal axes)
Unique sites:
Li  0.0000  0.0000  0.0000 [3 per cell]
Li  0.0000  0.0000  0.2388 [3 per cell]
Zn  0.0000  0.0000  0.4924 [3 per cell]
Os  0.0000  0.0000  0.7456 [3 per cell]

Li2ZnOs after structural relaxation. Source: the Alexandria database, functional GGA-PBEsol.

Calculated values
Raw total energy (eV per atom): -4.342
Formation energy (kJ/mol of formula units): 35

Unit cell a=2.5635 b=4.5169 c=4.6306 alpha=90.00 beta=93.20 gamma=90.00
Space group P2/m (No. 10)
Unique sites:
Li  0.2160  0.0000  0.2293 [2 per cell]
Zn  0.0000  0.5000  0.5000 [1 per cell]
Os  0.5000  0.5000  0.0000 [1 per cell]

* * * * *

1.
Compound: Hf3CdH
Source: Alexandria via LeMat-Bulk
Functional: GGA-PBE
Structure: relaxed

E_tot = -6.97 eV/atom
Offset from the most stable computed form = 23 meV per atom
Size of the total moment = 0.0 μB/f.u.
Crystal system = monoclinic

abc: 4.4636 4.4636 9.0895
angles: 90.02 90.02 90.29
Fractional coordinates of all 10 atoms:
Hf: 0.0000 0.0000 0.0000
Hf: 0.0034 0.5143 0.2511
Hf: 0.0079 0.5072 0.7547
Hf: 0.5072 0.0079 0.7547
Hf: 0.5143 0.0034 0.2511
Hf: 0.5165 0.5165 0.9975
Cd: 0.0077 0.0077 0.5025
Cd: 0.5090 0.5090 0.4915
H: 0.2570 0.2570 0.1309
H: 0.5038 0.5038 0.7721

2.
Compound: Hf3CdH
Source: Alexandria via LeMat-Bulk
Functional: GGA-PBE
Structure: relaxed

E_tot = -6.87 eV/atom
Offset from the most stable computed form = 123 meV per atom
Size of the total moment = 0.0 μB/f.u.
Crystal system = monoclinic

abc: 7.7203 6.1149 10.4839
angles: 90.00 132.51 90.00
Fractional coordinates of all 20 atoms:
Hf: 0.0057 0.0109 0.2576
Hf: 0.0057 0.4891 0.7576
Hf: 0.2362 0.0980 0.1153
Hf: 0.2362 0.4020 0.6153
Hf: 0.4936 0.7471 0.9933
Hf: 0.4936 0.7529 0.4933
Hf: 0.5064 0.2471 0.5067
Hf: 0.5064 0.2529 0.0067
Hf: 0.7638 0.5980 0.3847
Hf: 0.7638 0.9020 0.8847
Hf: 0.9943 0.5109 0.2424
Hf: 0.9943 0.9891 0.7424
Cd: 0.2451 0.6073 0.1197
Cd: 0.2451 0.8927 0.6197
Cd: 0.7549 0.1073 0.3803
Cd: 0.7549 0.3927 0.8803
H: 0.1867 0.2486 0.7620
H: 0.1867 0.2514 0.2620
H: 0.8133 0.7486 0.7380
H: 0.8133 0.7514 0.2380

3.
Compound: Hf2CdH
Source: Alexandria via LeMat-Bulk
Functional: GGA-PBE
Structure: relaxed

E_tot = -5.55 eV/atom
Offset from the most stable computed form = 583 meV per atom
Size of the total moment = 0.0 μB/f.u.
Crystal system = cubic

abc: 4.6779 4.6779 4.6779
angles: 60.00 60.00 60.00
Fractional coordinates of all 4 atoms:
Hf: 0.2500 0.2500 0.2500
Hf: 0.7500 0.7500 0.7500
Cd: 0.0000 0.0000 0.0000
H: 0.5000 0.5000 0.5000

4.
Compound: Hf3CdH
Source: Alexandria via LeMat-Bulk
Functional: GGA-PBE
Structure: relaxed

E_tot = -6.84 eV/atom

# To do
Restate all of the data further above character by character, please.

# Response
# GGA-PBE Rb2TlCd2, relaxed
# Energy above the most stable polymorph in this dataset   99 meV per atom
# DFT formation energy   0.04 eV per atom
# Spin magnetization   0.00 Bohr magnetons per cell
data_Rb2TlCd2
_cell_length_a 4.232
_cell_length_b 4.232
_cell_length_c 23.393
_cell_angle_alpha 90.00
_cell_angle_beta 90.00
_cell_angle_gamma 90.00
_space_group_name_H-M_alt 'I 4/m m m'
_space_group_IT_number 139
_space_group_name_Hall '-I 4 2'
loop_
_atom_site_label
_atom_site_fract_x
_atom_site_fract_y
_atom_site_fract_z
_atom_site_occupancy
Rb1 0.000 0.000 0.108 1
Tl1 0.000 0.000 0.500 1
Cd1 0.000 0.500 0.250 1

* * * * *

LiZnOs2 after structural relaxation. Source: the Alexandria database, functional GGA-PBEsol.

Calculated values
Raw total energy (eV per atom): -6.775
Formation energy (kJ/mol of formula units): 85

Unit cell a=8.9331 b=2.6815 c=4.5826 alpha=90.00 beta=100.31 gamma=90.00
Space group C2/m (No. 12)
Unique sites:
Li  0.0000  0.0000  0.0000 [2 per cell]
Zn  0.0000  0.5000  0.5000 [2 per cell]
Os  0.2413  0.0000  0.7542 [4 per cell]

Li2ZnOs after structural relaxation. Source: the Alexandria database, functional GGA-PBEsol.

Calculated values
Raw total energy (eV per atom): -4.317
Formation energy (kJ/mol of formula units): 45

Unit cell a=2.6813 b=2.6813 c=27.6725 alpha=90.00 beta=90.00 gamma=120.00
Space group R3m (No. 160, hexagonal axes)
Unique sites:
Li  0.0000  0.0000  0.0000 [3 per cell]
Li  0.0000  0.0000  0.2388 [3 per cell]
Zn  0.0000  0.0000  0.4924 [3 per cell]
Os  0.0000  0.0000  0.7456 [3 per cell]

Li2ZnOs after structural relaxation. Source: the Alexandria database, functional GGA-PBEsol.

Calculated values
Raw total energy (eV per atom): -4.342
Formation energy (kJ/mol of formula units): 35

Unit cell a=2.5635 b=4.5169 c=4.6306 alpha=90.00 beta=93.20 gamma=90.00
Space group P2/m (No. 10)
Unique sites:
Li  0.2160  0.0000  0.2293 [2 per cell]
Zn  0.0000  0.5000  0.5000 [1 per cell]
Os  0.5000  0.5000  0.0000 [1 per cell]

* * * * *

1.
Compound: Hf3CdH
Source: Alexandria via LeMat-Bulk
Functional: GGA-PBE
Structure: relaxed

E_tot = -6.97 eV/atom
Offset from the most stable computed form = 23 meV per atom
Size of the total moment = 0.0 μB/f.u.
Crystal system = monoclinic

abc: 4.4636 4.4636 9.0895
angles: 90.02 90.02 90.29
Fractional coordinates of all 10 atoms:
Hf: 0.0000 0.0000 0.0000
Hf: 0.0034 0.5143 0.2511
Hf: 0.0079 0.5072 0.7547
Hf: 0.5072 0.0079 0.7547
Hf: 0.5143 0.0034 0.2511
Hf: 0.5165 0.5165 0.9975
Cd: 0.0077 0.0077 0.5025
Cd: 0.5090 0.5090 0.4915
H: 0.2570 0.2570 0.1309
H: 0.5038 0.5038 0.7721

2.
Compound: Hf3CdH
Source: Alexandria via LeMat-Bulk
Functional: GGA-PBE
Structure: relaxed

E_tot = -6.87 eV/atom
Offset from the most stable computed form = 123 meV per atom
Size of the total moment = 0.0 μB/f.u.
Crystal system = monoclinic

abc: 7.7203 6.1149 10.4839
angles: 90.00 132.51 90.00
Fractional coordinates of all 20 atoms:
Hf: 0.0057 0.0109 0.2576
Hf: 0.0057 0.4891 0.7576
Hf: 0.2362 0.0980 0.1153
Hf: 0.2362 0.4020 0.6153
Hf: 0.4936 0.7471 0.9933
Hf: 0.4936 0.7529 0.4933
Hf: 0.5064 0.2471 0.5067
Hf: 0.5064 0.2529 0.0067
Hf: 0.7638 0.5980 0.3847
Hf: 0.7638 0.9020 0.8847
Hf: 0.9943 0.5109 0.2424
Hf: 0.9943 0.9891 0.7424
Cd: 0.2451 0.6073 0.1197
Cd: 0.2451 0.8927 0.6197
Cd: 0.7549 0.1073 0.3803
Cd: 0.7549 0.3927 0.8803
H: 0.1867 0.2486 0.7620
H: 0.1867 0.2514 0.2620
H: 0.8133 0.7486 0.7380
H: 0.8133 0.7514 0.2380

3.
Compound: Hf2CdH
Source: Alexandria via LeMat-Bulk
Functional: GGA-PBE
Structure: relaxed

E_tot = -5.55 eV/atom
Offset from the most stable computed form = 583 meV per atom
Size of the total moment = 0.0 μB/f.u.
Crystal system = cubic

abc: 4.6779 4.6779 4.6779
angles: 60.00 60.00 60.00
Fractional coordinates of all 4 atoms:
Hf: 0.2500 0.2500 0.2500
Hf: 0.7500 0.7500 0.7500
Cd: 0.0000 0.0000 0.0000
H: 0.5000 0.5000 0.5000

4.
Compound: Hf3CdH
Source: Alexandria via LeMat-Bulk
Functional: GGA-PBE
Structure: relaxed

E_tot = -6.84 eV/atom